Dear teenagers and young adults who have been shocked by this article, and who did not fail to let me know, I owe you an apology.

Indeed, I wrote without considering the two absolute truths of social networks, namely:


1. In front of a (webcam, smartphone, video) camera connected to the Internet (or not), you may expose yourself (literally or figuratively).

Next to the page, the page also holds data records:
~~~
No. 1
# C37H19MnN10O4

A structure of composition C37H19MnN10O4 (ωB97M-V/def2-TZVPD, the OMol25 dataset).

Last column: Löwdin spin population.
CARTESIAN COORDINATES (ANGSTROEM)
Mn (0.0086, 0.1662, -0.2765)  1.8936
C (5.0559, -3.8873, 0.3854)  0.0104
C (4.9422, -4.0156, -0.9992)  0.0106
C (4.0525, -3.2310, -1.7268)  0.0148
C (3.3043, -2.3167, -1.0146)  0.0031
C (2.2553, -1.3831, -1.4218)  0.0657
N (1.8565, -0.6114, -0.3582)  -0.0168
C (2.4600, -1.1571, 0.7500)  0.0659
N (2.2477, -0.8910, 2.0162)  -0.0001
C (1.3403, -0.0229, 2.4063)  0.0784
C (1.2704, 0.4763, 3.7780)  0.0109
C (1.9697, 0.1399, 4.9201)  0.0157
C (1.6800, 0.8629, 6.0714)  0.0196
C (0.7433, 1.8985, 6.0607)  0.0100
C (0.0652, 2.2484, 4.8974)  0.0234
C (0.3409, 1.5046, 3.7666)  0.0049
C (-0.1116, 1.6159, 2.3790)  0.1161
N (-0.7928, 2.6488, 1.9426)  -0.0188
C (-0.9144, 2.9012, 0.6503)  0.1375
N (-0.5239, 2.1298, -0.4169)  -0.0154
C (-1.0101, 2.7401, -1.5446)  0.1366
N (-1.0804, 2.2575, -2.7746)  -0.0194
C (-0.5531, 1.0991, -3.0877)  0.1114
N (0.1133, 0.2537, -2.2455)  -0.0033
C (0.7931, -0.6293, -3.0238)  0.0757
N (1.7784, -1.4150, -2.6462)  -0.0026
C (0.3751, -0.4937, -4.4198)  0.0103
C (0.6886, -1.2142, -5.5543)  0.0151
C (0.1005, -0.8009, -6.7455)  0.0190
C (-0.7487, 0.3057, -6.7885)  0.0093
C (-1.0427, 1.0367, -5.6420)  0.0228
C (-0.4730, 0.6036, -4.4615)  0.0045
C (-1.6218, 4.0185, -1.2052)  0.0149
C (-2.1594, 5.0266, -1.9863)  0.0261
C (-2.6584, 6.1390, -1.3228)  0.0212
C (-2.6236, 6.2301, 0.0725)  0.0203
C (-2.0825, 5.2129, 0.8478)  0.0269
C (-1.5814, 4.1105, 0.1762)  0.0141
N (0.4099, 0.5984, 1.6305)  -0.0040
C (3.4206, -2.1860, 0.3551)  0.0031
C (4.2875, -2.9664, 1.0911)  0.0149
H (5.7507, -4.5220, 0.9194)  0.0002
H (5.5540, -4.7443, -1.5143)  0.0002
H (3.9458, -3.3314, -2.7990)  0.0005
H (2.7050, -0.6546, 4.9146)  0.0004
H (2.1926, 0.6249, 6.9938)  0.0007
H (0.5469, 2.4422, 6.9753)  0.0000
H (-0.6499, 3.0601, 4.8756)  0.0008
H (1.3594, -2.0627, -5.5131)  0.0004
H (0.3055, -1.3447, -7.6578)  0.0007
H (-1.1853, 0.6001, -7.7340)  0.0000
H (-1.6905, 1.9032, -5.6701)  0.0008
H (-2.1872, 4.9483, -3.0652)  0.0009
H (-3.0808, 6.9550, -1.8941)  0.0005
H (-3.0247, 7.1122, 0.5539)  0.0004
H (-2.0504, 5.2713, 1.9278)  0.0010
H (4.3592, -2.8661, 2.1659)  0.0005
O (-4.5067, -3.5610, 0.3721)  -0.0001
C (-4.9750, -2.3270, 0.2721)  0.0000
O (-6.1470, -2.0649, 0.3106)  0.0000
C (-3.9802, -1.2206, 0.1221)  0.0011
C (-4.3396, 0.1079, 0.0623)  0.0026
N (-3.2101, 0.8243, -0.0557)  0.0026
N (-2.1330, 0.0375, -0.0924)  -0.0067
C (-2.5816, -1.1997, 0.0060)  0.0009
C (-1.5140, -2.2327, -0.0283)  0.0037
O (-1.7603, -3.4185, 0.0310)  0.0136
O (-0.3205, -1.7210, -0.1389)  0.0267
H (-3.5191, -3.6001, 0.3457)  -0.0001
H (-5.3181, 0.5585, 0.1085)  0.0001
H (-3.1165, 1.8272, -0.1080)  0.0010
~~~
Back to the page:

The results can range from the topless picture (with a duck face, optionally) to the sextape - for the boldest among them, not to mention the full disclosure of the finest details of their personal life.

But hey, the most important thing is to get "likes", "retweets" and "+1s".

I know that some of you have fallen into the illusion that their degree of self-exposure (in every sense of the word) is proportional to their acceptance in one or more social circles.

Anyway, I cannot understand it, but it's your life and you may do what you want. Yes, I am among those who think that, in theory, everyone is free to do what they want in their spare time.

It goes without saying that you can publish whatever you want on the social networks associated with your name.

As a Web Consultant, I could explain to you that before hiring or recruiting you, employers will track your online activities on Google. But I guess you would reply: "Anyway, I would be a (web/social) entrepreneur. To hell with the bosses". Then you would be forgetting that working under the orders of a boss is a good way to acquire personal discipline - i.e. getting up in the morning, arriving on time, learning management by objectives and results, learning to save money - which separates professional entrepreneurs from the rest, but I'd digress.

I could tell you that common sense would compel any sensible person to avoid leaving compromising traces on the Internet. But it seems that the trend these days is to thoroughly reveal every nook and cranny of one's life on the Internet.

I therefore prefer to let you live in your wonderful world, where all actions are inconsequential. Especially when you take into account the second absolute truth of the web:


2. You know all your virtual friends and you can easily distinguish between your real friends, all of the jealous folks, and the perverts, or other individuals in need of thrills and sensational actions, as well as the bloggers/youtubers/scavengers looking for a buzz to promote their web platforms.

Well, I know it may be surprising, but all those people you have never met, and who subscribe to content updates that you publish here and there on the web might not be all trustworthy.

Indeed, many of the people described above are particularly inclined to share the privacy of others via Facebook, Bluetooth, unauthorized DVDs and any other means available.

But, you're not worried about that, since you personally know every single one of your 1,200 followers on Twitter and 3,400 friends on Facebook, right? It's not like any of them could publish your twerk video on some shady websites, obviously...


So, dear teens and young adults living in a wonderful world where you can put everything and absolutely anything online for any reason, such as:

== Between two parts of the piece: records of molecules ==
____________
Entry 1:
{
  "formula": "C4H8O",
  "method": "ωB97M-V/def2-TZVPD",
  "symbols": ["C", "C", "C", "C", "O", "H", "H", "H", "H", "H", "H", "H", "H"],
  "xyz": [[-0.3085, 2.3728, 0.7583], [-0.2631, 0.8119, 0.4904], [0.6050, 0.1200, -0.2960], [0.6529, -1.3869, -0.0298], [-0.6899, -1.9283, -0.7894], [-0.7933, 2.9886, -0.1179], [0.7502, 2.7721, 0.7971], [-0.9791, 2.6549, 1.5442], [-0.8058, -0.0129, 0.9773], [1.4310, 0.5494, -0.8867], [1.4843, -1.6213, -0.7415], [0.8566, -1.6857, 0.9916], [-0.5421, -1.7259, -1.7862]],
  "forces_ev_per_a": [[-0.025, -0.386, -3.040], [1.474, 0.145, -0.866], [-0.194, 0.998, 2.382], [-0.870, 1.132, -5.564], [2.657, 0.563, -0.018], [0.915, -1.501, 1.119], [-1.345, -0.467, 0.496], [0.260, -0.085, 0.977], [-0.811, 1.492, 0.657], [-0.621, -0.060, 0.122], [-0.473, -1.032, 1.116], [-0.901, -0.440, -0.109], [-0.066, -0.360, 2.727]],
  "mulliken_charge": [-0.982, -0.115, -0.176, -0.562, -0.541, 0.241, 0.256, 0.314, 0.304, 0.322, 0.263, 0.375, 0.303],
  "charge": 0,
  "homo_energy_ev": -9.146,
  "multiplicity": 1,
  "smiles": "C/C=C/CO",
  "homo_lumo_gap_ev": 10.115
}

Entry 2:
{
  "formula": "C4H4S",
  "method": "ωB97M-V/def2-TZVPD",
  "symbols": ["C", "C", "C", "S", "C", "H", "H", "H", "H"],
  "xyz": [[-0.3519, 0.6698, -0.6413], [-0.3558, -0.6616, -0.6438], [0.7401, -0.8171, 0.3825], [2.2343, 0.0003, -0.2297], [0.7438, 0.8123, 0.3913], [-0.8521, 1.4268, -1.2131], [-0.8750, -1.4081, -1.2135], [0.7986, -1.4744, 1.2289], [0.7931, 1.4553, 1.2478]],
  "forces_ev_per_a": [[-0.236, -0.076, 0.158], [-0.330, 0.099, 0.097], [0.391, 2.629, -0.170], [0.141, -0.004, 0.161], [0.328, -2.663, -0.259], [-0.126, 0.115, -0.239], [-0.081, -0.123, -0.237], [-0.055, 0.012, 0.235], [-0.034, 0.011, 0.255]],
  "mulliken_charge": [-0.421, -0.416, -0.344, -0.125, -0.335, 0.397, 0.399, 0.423, 0.422],
  "charge": 0,
  "homo_energy_ev": -8.724,
  "multiplicity": 1,
  "smiles": "C1=C[C@H]2S[C@@H]12",
  "homo_lumo_gap_ev": 9.499
}

Entry 3:
{
  "formula": "CH2FN5",
  "method": "ωB97M-V/def2-TZVPD",
  "symbols": ["C", "N", "N", "N", "N", "N", "F", "H", "H"],
  "xyz": [[0.7365, 1.7114, -0.1890], [0.7408, 2.7110, -0.7242], [0.8529, 0.6569, 0.5793], [0.1134, -0.3013, 0.7140], [-0.6438, -0.2244, -1.2555], [0.0617, -0.8856, 1.8598], [-0.4950, -2.0603, 1.9241], [0.1241, -0.8154, -1.5563], [-1.4907, -0.7922, -1.3522]],
  "forces_ev_per_a": [[-0.702, -2.023, 1.010], [0.134, 2.385, -1.383], [2.603, 1.175, 1.172], [-1.744, -1.937, -0.393], [-0.473, -0.408, 1.275], [1.033, 3.329, -0.341], [-1.111, -2.006, -1.251], [0.194, -0.370, -0.180], [0.066, -0.145, 0.090]],
  "mulliken_charge": [0.535, -0.377, -0.341, 0.636, -0.465, -0.417, -0.103, 0.273, 0.259],
  "charge": 0,
  "homo_energy_ev": [-9.883, -9.851],
  "multiplicity": 1,
  "homo_lumo_gap_ev": [7.837, 6.878]
}

Entry 4:
{
  "formula": "CH5N2S2",
  "method": "ωB97M-V/def2-TZVPD",
  "symbols": ["C", "N", "N", "S", "S", "H", "H", "H", "H", "H"],
____________

To draw attention to oneself,

To please a boyfriend/girlfriend,

Or, and I quote, "It's my body, my private life and I do whatever I want."

Misplaced quantum chemistry results.
- - -
Below is C3H3NO3 in the gas phase, with properties calculated with ωB97M-V with the def2-TZVPD basis set.

The calculation puts the frontier orbital gap at 9.570 eV. As for the maximum force: 0.014 Eh/bohr. For the relative energy (zero: lowest compared OMol25 entry of this formula, charge and spin), the calculation gives 4.492 eV. The value obtained for the total energy is -396.45936 Eh.

XYZ file:
```
10
C3H3NO3 ωB97M-V with the def2-TZVPD basis set
N -0.516 1.295 -0.807
C -0.464 0.097 -0.479
O 0.561 -0.782 -0.258
C 1.806 -0.314 0.037
O 2.116 0.834 0.165
C -1.829 -0.423 1.064
O -1.663 -0.574 -0.240
H 0.401 1.725 -0.841
H 2.477 -1.177 0.129
H -2.890 -0.681 1.231
```

Below is 7 unconnected molecules or ions with the total composition C43H62F6N3O7S, with properties calculated with ωB97M-V with the def2-TZVPD basis set.

The calculation puts the frontier orbital gap at 7.436 eV. As for the maximum force: 0.017 Eh/bohr. The charge is +1. The value obtained for the total energy is -3363.79947 Eh.

XYZ file:
```
122
C43H62F6N3O7S ωB97M-V with the def2-TZVPD basis set
C 1.649 3.020 0.484
C 1.553 2.836 -0.827
C 2.124 1.622 -1.511
N 1.631 0.349 -0.888
C 2.544 -0.307 -0.148
C 2.269 -1.494 0.516
C 3.418 -2.153 1.222
C 4.288 -2.976 0.237
C 0.971 -2.006 0.447
C 0.732 -3.308 1.170
C 0.615 -3.168 2.694
S 0.444 -4.793 3.485
C -1.219 -5.131 3.188
N -1.698 -5.868 2.241
N -3.061 -5.857 2.408
C -3.279 -5.116 3.435
O -2.169 -4.613 4.009
C 0.006 -1.326 -0.341
C -1.400 -1.859 -0.471
C -2.309 -1.589 0.737
C -3.766 -1.351 0.365
F -2.259 -2.676 1.592
C 0.365 -0.164 -1.018
C -0.685 0.499 -1.934
F -0.997 -0.432 -2.876
F -0.160 1.528 -2.642
C -1.926 1.010 -1.260
C -1.847 1.642 -0.016
C -2.996 2.184 0.559
C -4.224 2.091 -0.095
C -4.299 1.439 -1.329
C -5.624 1.293 -2.013
F -5.503 1.144 -3.330
F -6.280 0.215 -1.554
F -6.406 2.347 -1.804
C -3.154 0.900 -1.917
H 2.235 2.361 1.109
H 1.150 3.828 0.992
H 1.068 3.567 -1.452
H 3.199 1.639 -1.380
H 1.930 1.631 -2.562
H 3.533 0.113 -0.111
H 4.027 -1.375 1.668
H 3.066 -2.824 1.986
H 4.249 -4.029 0.498
H 5.327 -2.679 0.291
H 3.950 -2.878 -0.786
H 1.584 -3.949 0.959
H -0.142 -3.845 0.831
H 1.518 -2.777 3.147
H -0.201 -2.514 2.973
H -4.232 -4.876 3.863
H -1.361 -2.934 -0.617
H -1.908 -1.464 -1.335
H -1.934 -0.715 1.269
H -4.358 -2.152 0.797
H -4.137 -0.420 0.778
H -3.943 -1.375 -0.703
H -0.905 1.725 0.505
H -2.957 2.669 1.524
H -5.121 2.492 0.350
H -3.215 0.418 -2.879
C 4.644 -0.870 -4.345
C 5.193 -0.327 -3.051
O 4.881 -0.818 -1.983
C 6.150 0.827 -3.149
H 3.976 -1.705 -4.144
H 4.097 -0.085 -4.867
H 5.461 -1.209 -4.984
H 5.665 1.673 -3.632
H 7.015 0.547 -3.748
H 6.479 1.116 -2.153
C 10.016 2.954 -4.253
C 8.668 3.602 -4.443
O 7.680 2.949 -4.702
C 8.610 5.101 -4.296
H 9.931 1.878 -4.384
H 10.727 3.350 -4.980
H 10.396 3.169 -3.254
H 9.271 5.574 -5.024
H 8.940 5.393 -3.298
H 7.592 5.449 -4.455
C 2.649 2.090 -6.719
C 3.173 2.703 -5.449
O 2.859 2.264 -4.359
C 4.096 3.879 -5.587
H 1.992 1.255 -6.486
H 2.094 2.836 -7.290
H 3.480 1.740 -7.334
- - -
Back to the text.

Do as you wish.

Do not listen to this grumpy old blogger... He does not even have any friends on Facebook.

And then it's not like the reality will eventually come and bite you once you turn 25 and you would spend your days erasing any detrimental content that might affect you, while you would then be interested in LinkedIn and Viadeo.

Until then, I wish you all a good time on the Internet.


[Translated from a contribution by Jean-Luc Houedanou]